-- What to do --
Could you find the line further below that holds "0.323)", then write out that line and all lines after it there?
-- Data --
/*
{
  "formula": "NaTm2Pb3Se6",
  "functional": "GGA-PBE",
  "state": "relaxed",
  "sg": "No. 12",
  "raw_formation_energy_ev_per_atom": -1.079,
  "n_ef_per_ev_cell": 4.3,
  "lattice": [[9.321, -2.038, 0.000], [9.321, 2.038, 0.000], [-2.350, 0.000, 8.829]],
  "species": ["Na", "Tm", "Tm", "Pb", "Pb", "Pb", "Se", "Se", "Se", "Se", "Se", "Se"],
  "fractional_positions": [[0.000, 0.000, 0.000], [0.335, 0.335, 0.667], [0.665, 0.665, 0.333], [0.000, 0.000, 0.500], [0.340, 0.340, 0.161], [0.660, 0.660, 0.839], [0.172, 0.172, 0.121], [0.173, 0.173, 0.557], [0.490, 0.490, 0.746], [0.510, 0.510, 0.254], [0.827, 0.827, 0.443], [0.828, 0.828, 0.879]]
}

----------

# 1
Computed, not measured: CaZr2RePd after structural relaxation at the GGA-PBE level of DFT.

Lattice parameters (Å, degrees): 5.085 4.905 5.085 90.00 90.00 90.00
Fractional positions:
Zr (0.500, 0.000, 0.000)
Zr (0.000, 0.000, 0.500)
Re (0.000, 0.500, 0.000)
Pd (0.000, 0.000, 0.000)
Ca (0.500, 0.500, 0.500)

Results
Symmetry = P4/mmm
Size of the total moment = 0.00 μB per cell
Formation energy from the elements = 0.826 eV per atom
Uncorrected energy = -6.52 eV/atom

=====

# 2
Computed, not measured: TlSiO3 after structural relaxation at the GGA-PBE level of DFT.

Lattice parameters (Å, degrees): 4.156 4.156 4.156 90.00 90.00 90.00
Fractional positions:
O (0.500, 0.000, 0.000)
O (0.000, 0.500, 0.000)
O (0.000, 0.000, 0.500)
Si (0.500, 0.500, 0.500)
Tl (0.000, 0.000, 0.000)

Results
Symmetry = Pm-3m
Size of the total moment = 0.00 μB per cell
Formation energy from raw total energies = 300 meV per atom
Uncorrected energy = -4.23 eV/atom

=====

# 3
Computed, not measured: Mg3In2Ir after structural relaxation at the GGA-PBE level of DFT.

Lattice parameters (Å, degrees): 4.814 5.000 7.067 110.72 109.91 90.00
Fractional positions:
In (0.230, 0.730, 0.461)
In (0.770, 0.270, 0.539)
Mg (0.608, 0.608, 0.216)
Mg (0.392, 0.392, 0.784)
Mg (0.000, 0.000, 0.000)
Ir (0.000, 0.500, 0.000)

Results
Symmetry = Immm
Size of the total moment = 0.00 μB per cell
Formation energy from the elements = 0.002 eV per atom
Uncorrected energy = -3.19 eV/atom

=====

# 4
Computed, not measured: SmCd2Au2 after structural relaxation at the GGA-PBE level of DFT.

Lattice parameters (Å, degrees): 4.904 4.933 10.040 85.44 90.00 90.00
Fractional positions:
Cd (0.250, 0.711, 0.989)
Cd (0.750, 0.265, 0.323)
Cd (0.250, 0.735, 0.677)
Cd (0.750, 0.289, 0.011)
Sm (0.250, 0.778, 0.320)
Sm (0.750, 0.222, 0.680)
Au (0.750, 0.749, 0.512)
Au (0.250, 0.228, 0.851)
Au (0.250, 0.251, 0.488)
Au (0.750, 0.772, 0.149)

Results
Symmetry = P2_1/m
Size of the total moment = 0.00 μB per cell
Formation energy from the elements = -0.451 eV per atom
Uncorrected energy = -3.07 eV/atom
Energy above the lowest structure with this stoichiometry = 0.00 eV per formula unit

=====

# 5
Computed, not measured: CdNi2Mo after structural relaxation at the GGA-PBE level of DFT.

Lattice parameters (Å, degrees): 4.242 2.687 5.164 74.86 90.00 90.00
Fractional positions:
Ni (0.000, 0.198, 0.980)
Ni (0.500, 0.058, 0.259)
Cd (0.000, 0.459, 0.457)
Mo (0.500, 0.786, 0.805)

Results
Symmetry = Amm2
Size of the total moment = 0.00 μB per cell
Formation energy from the elements = 0.178 eV per atom
Uncorrected energy = -5.65 eV/atom

=====

# 6
Computed, not measured: RbNb2Fe after structural relaxation at the GGA-PBE level of DFT.

Lattice parameters (Å, degrees): 5.585 5.585 8.543 70.92 70.92 90.00
Fractional positions:
Nb (0.875, 0.625, 0.750)
Nb (0.375, 0.625, 0.750)
Nb (0.375, 0.125, 0.250)
Nb (0.375, 0.625, 0.250)
Rb (0.000, 0.000, 0.000)
Rb (0.750, 0.250, 0.500)
Fe (0.250, 0.750, 0.500)
Fe (0.500, 0.500, 0.000)

Results
Symmetry = I4_1/amd
Size of the total moment = 0.00 μB per cell
Formation energy from the elements = 1.614 eV per atom
Uncorrected energy = -5.78 eV/atom
Energy above the lowest structure with this stoichiometry = 0.07 eV per formula unit

=====

# 7
*/
-- Done --
Cd (0.750, 0.265, 0.323)
Cd (0.250, 0.735, 0.677)
Cd (0.750, 0.289, 0.011)
Sm (0.250, 0.778, 0.320)
Sm (0.750, 0.222, 0.680)
Au (0.750, 0.749, 0.512)
Au (0.250, 0.228, 0.851)
Au (0.250, 0.251, 0.488)
Au (0.750, 0.772, 0.149)

Results
Symmetry = P2_1/m
Size of the total moment = 0.00 μB per cell
Formation energy from the elements = -0.451 eV per atom
Uncorrected energy = -3.07 eV/atom
Energy above the lowest structure with this stoichiometry = 0.00 eV per formula unit

=====

# 5
Computed, not measured: CdNi2Mo after structural relaxation at the GGA-PBE level of DFT.

Lattice parameters (Å, degrees): 4.242 2.687 5.164 74.86 90.00 90.00
Fractional positions:
Ni (0.000, 0.198, 0.980)
Ni (0.500, 0.058, 0.259)
Cd (0.000, 0.459, 0.457)
Mo (0.500, 0.786, 0.805)

Results
Symmetry = Amm2
Size of the total moment = 0.00 μB per cell
Formation energy from the elements = 0.178 eV per atom
Uncorrected energy = -5.65 eV/atom

=====

# 6
Computed, not measured: RbNb2Fe after structural relaxation at the GGA-PBE level of DFT.

Lattice parameters (Å, degrees): 5.585 5.585 8.543 70.92 70.92 90.00
Fractional positions:
Nb (0.875, 0.625, 0.750)
Nb (0.375, 0.625, 0.750)
Nb (0.375, 0.125, 0.250)
Nb (0.375, 0.625, 0.250)
Rb (0.000, 0.000, 0.000)
Rb (0.750, 0.250, 0.500)
Fe (0.250, 0.750, 0.500)
Fe (0.500, 0.500, 0.000)

Results
Symmetry = I4_1/amd
Size of the total moment = 0.00 μB per cell
Formation energy from the elements = 1.614 eV per atom
Uncorrected energy = -5.78 eV/atom
Energy above the lowest structure with this stoichiometry = 0.07 eV per formula unit

=====

# 7